

2024-06-10 17:34:01演讲稿

we deep in the years to write a lorious. In lobal view shows hoie of the hinese road of national rejuvenation; onentrated panoraa in history."

Around the illenniu hane, eventful years, hinese new entury, reat turnin point, span, the future of six thee, reflets hina's reat ahieveents sine 140,

arduous and tortuous road of revitaliation of the nation and the hinese people ade in hina under the leadership of the ounist party. The "shok" "exited" tears ""……

This is y wath, taste riht is felt when disourse. Proess of readin and rejuvenation of the reat,

I reviewed the history of the hinese nation 100 years the drea of power and unreittin exploration. Full and aurate historial data, anifient oentu, a lanuae, a preious historial pitures,

shows a piture of the world national revival.



Innovation Hello, ladies and entleen. It’s reat to be here. First of all, thanks for your oin. Toniht, what I a onna talk about is innovation. Who an tell e what is innovation? We all know that, sine 197, hina has been throuh the reatest hanes brouht by the refor and openin-up. So what we an see fro the refor and openin-up? The power of innovation. That’s why I a here. I a here to show you y hinese drea. I want to talk about the future and how we're oin to win it. If we want to ake innovation. But firstly, we should ake sure that hina is a plae where we an ake it if we try, where we an o as far as hard work and bi dreas will take us. We understand that it’s not oin to be a akewalk, this opetition for the future, whih eans all of us are oin to have to do our best. We are oin to have to win the future by bein sarter and workin harder and workin toether. Innovation is the spirit of our ountry, the otive fore for our ountry’s prosperity. Sparkin the iaination and reativity of our people, unleashin new disoveries -- that's what hina will do better than any other ountry on Earth. Fro the oent we have a new idea, we an explore it;

We an develop it with a researh rant;

We an protet it with a patent;

We an arket it with a loan to start a new business. We’ve ot a hain that takes a reat idea all the way throuh. We ust be onfired that, today, the hallenes we fae are real. They are serious and they are any. They will not be et easily or in a short span of tie. But we will soehow find a way to overoe the diffiulties. y ajor is XXX. y job is to disover or reate new drus for any diseases like aner. You know that laboratory is the plae where irales happen. Believe it or not. What I do an save illions of people’s lives. For a lon tie, what hallenes e is how to oerialie researh. You oe up with a reat idea, but ovin that new disovery fro theory to pratie or fro the lab to the arketplae, that's really a bi job. That’s what we should fous on. We need to at with a sense of ureny-to study and work and reate as if the fate of the ountry depends on us-beause it does. It depends on us. Thank you!



Inserted here: calculated crystals:
+++
For YRhAu2, a crystal structure in Alexandria, relaxed with PBE gives the calculated X-ray powder pattern in this record (a wavelength of 1.5418 Å).
Neutral-atom scattering factors, no anomalous dispersion.

Top 12 peaks for 2θ from 10° to 90°, most intense first:
2θ = 37.1°, rel. 1000, (1 1 2)
2θ = 44.7°, rel. 295, (2 0 0)
2θ = 77.4°, rel. 238, (3 1 2)
2θ = 61.3°, rel. 231, (2 0 4)
2θ = 39.6°, rel. 208, (0 0 4)
2θ = 70.2°, rel. 155, (1 1 6)
2θ = 19.5°, rel. 128, (0 0 2)
2θ = 79.0°, rel. 113, (2 2 4)
2θ = 65.1°, rel. 96, (2 2 0)
2θ = 31.2°, rel. 88, (1 1 0)
2θ = 49.2°, rel. 54, (2 0 2)
2θ = 51.3°, rel. 48, (1 1 4)

Atomic structure:
a b c (Å): 4.0531 4.0531 9.0984
angles (deg): 90.00 90.00 90.00
Fractional coordinates of all 8 atoms:
Y1 0.0000 0.0000 0.0000
Y2 0.5000 0.5000 0.5000
Rh1 0.0000 0.0000 0.5000
Rh2 0.5000 0.5000 0.0000
Au1 0.0000 0.5000 0.2500
Au2 0.0000 0.5000 0.7500
Au3 0.5000 0.0000 0.2500
Au4 0.5000 0.0000 0.7500

----------

# 1
Simulated X-ray powder pattern
Compound: Sr3Sn5
Radiation: CuKα
Structure: the PBE geometry in the Materials Project
Lines closer than 0.1° are merged.

Structure:
a = 6.9138 Å, b = 6.9138 Å, c = 11.0073 Å
α = 90.00°, β = 90.00°, γ = 77.65°
Element x y z (fractional)
Sr 0.1459 0.8541 0.7500
Sr 0.2972 0.2972 0.0000
Sr 0.2972 0.2972 0.5000
Sr 0.7028 0.7028 0.0000
Sr 0.7028 0.7028 0.5000
Sr 0.8541 0.1459 0.2500
Sn 0.0077 0.5915 0.2500
Sn 0.1878 0.8122 0.0532
Sn 0.1878 0.8122 0.4468
Sn 0.4085 0.9923 0.2500
Sn 0.4575 0.5425 0.2500
Sn 0.5425 0.4575 0.7500
Sn 0.5915 0.0077 0.7500
Sn 0.8122 0.1878 0.5532
Sn 0.8122 0.1878 0.9468
Sn 0.9923 0.4085 0.7500

Peak list (10 most intense, 15 to 90 degrees two-theta, low angle first)
d 5.756, 2θ = 15.39°, I 21.1
d 3.227, 2θ = 27.65°, I 28.6
d 2.878, 2θ = 31.07°, I 100.0
d 2.841, 2θ = 31.49°, I 35.6
d 2.791, 2θ = 32.07°, I 39.5
d 2.752, 2θ = 32.54°, I 36.6
d 2.693, 2θ = 33.27°, I 26.1
d 2.485, 2θ = 36.15°, I 35.9
d 2.461, 2θ = 36.51°, I 39.7
d 1.727, 2θ = 53.02°, I 22.3

***

# 2
Simulated X-ray powder pattern
Compound: NaSi34
Radiation: CuKα
Structure: the PBE geometry in the Materials Project
Lines closer than 0.1° are merged.

Structure:
a = 10.4094 Å, b = 10.4094 Å, c = 10.4094 Å
α = 60.00°, β = 60.00°, γ = 60.00°
Element x y z (fractional)
Na 0.0000 0.0000 0.0000
Si 0.2543 0.2543 0.6306
Si 0.2543 0.2543 0.8609
Si 0.2543 0.6306 0.2543
Si 0.2543 0.6306 0.8609
Si 0.2543 0.8609 0.2543
Si 0.2543 0.8609 0.6306
Si 0.3889 0.6198 0.9956
Si 0.3889 0.9956 0.6198
Si 0.3889 0.9956 0.9956
Si 0.4078 0.4078 0.4078
Si 0.4078 0.4078 0.7765
Si 0.4078 0.7765 0.4078
Si 0.4732 0.8423 0.8423
Si 0.5000 0.5000 0.5000
Si 0.6198 0.3889 0.9956
Si 0.6198 0.9956 0.3889
Si 0.6198 0.9956 0.9956
Si 0.6306 0.2543 0.2543
Si 0.6306 0.2543 0.8609
Si 0.6306 0.8609 0.2543
Si 0.7500 0.7500 0.7500
Si 0.7765 0.4078 0.4078
Si 0.8423 0.4732 0.8423
Si 0.8423 0.8423 0.4732
Si 0.8423 0.8423 0.8423
Si 0.8609 0.2543 0.2543
Si 0.8609 0.2543 0.6306
Si 0.8609 0.6306 0.2543
Si 0.9956 0.3889 0.6198
Si 0.9956 0.3889 0.9956
+++

hina Drea, with eah one of us. Drea is beautiful, it is the botto of y heart the ost beautiful expetations, so the drea also beoe our lon-held beliefs. Drea is the sun, it akes people fro ipetuous to solid, fro the hesitation to the fir, and on the road to suess. Drea is powerful, it is the life soure of forward oentu;

Lofty dreas an inspire a life all potential. Beause of this we will o to drea, to rasp the drea, the pursuit of dreas. ur new president Xi Jinpin ae up with the drea of the hinese nation's rejuvenation on Deeber 29, 2012. He said: the hinese drea is a drea of national strenth prosperity and people's happiness.

ur people have an ardent love for life. They wish to have better eduation, ore stable jobs, ore inoe, reater soial seurity , better edial and health are, iproved housin onditions and better environent, They want their hildren to row well, have ideal jobs and lead a ore enjoyable life. To eet their desire for a happy life is our ission." I always ask yself what an I do for our reat hinese drea ? As we all know that the wiser the youths are ,the wiser the nation will be;the wealthier the youths are ,the wealthier the nation will be;the stroner the youths are ,the stroner the nation will be. Here the word wealthy eans: enrihin our knowlede reserve.

As a new eneration of youth , every one here shoulderin the reat historial ission of akin hina powerful and stron. You ay say that this ay exaerate our role, but I want to say you are wron. If I a a little srew our reat drea ay be a ultifuntion and oplex ahine. Throuh this exaple I just want to say I a very tiny but I a indispensable . I believe that as lon as all of our youn people unite toether and perfor our own funtions that study hard in shool and work hard after we raduatin fro university . We ust be able to ahieve our reat drea eanwhile enrih ourselves unwittinly! y drea, our drea, to iprove the hinese drea.

Let us unite toether to realie hinese nation's reat rejuvenation to strule! To you the day of y dreas to realie, is standin at the tie of hina.
